Scala Context Bound or Type Classes
Context bounds are of the form
def func[A:B](p:A) = {
Which means there is in implicit scope something that can return a type of B[A].
eg I have classes Meal, Toy and a Rubbish. I write a lib to process all sorts of stuff into Rubbish.
package learningcats
case class Meal(name:String,
case class Toy(name:String,
// Create a trait for the operations you want in your lib
// and all operations take a param of the type class.
trait Rubbish[A] {
def getRecycleCost(what:A):Int
// Now the implicit converters
object ConvRubbish {
implicit object MealRubbish extends Rubbish[Meal] {
def getRecycleCost(what:Meal):Int = what.size
implicit object ToyRubbish extends Rubbish[Toy] {
def getRecycleCost(what:Toy):Int = if (what.plastic) 10 else 1
object MainRubbish extends App {
import ConvRubbish._
// Magic context bound sugar, A:Rubbish
def recycle[A : Rubbish](item:A) = implicitly[Rubbish[A]].getRecycleCost(item)
println(recycle(Toy("Action Man", true)))
println(recycle(Meal("Pizza", 1)))
So, you create some implicit instances which take Toy and Meal classes and return Rubbish[Meal] and Rubbish[Toy] types, even though Meal and Toy share no types they can now be processed as if they do.
The rest of it is syntax and practice.
Why Context Bound Classes
Ad-hoc polymorphism. You have a bunch of classes and you want to create a bunch of new operations which cut over some of them. Scala has special syntax which makes type classes first class citizens of the language. ie use this syntax to decouple classes, its core to the way we all should code in Scala.
My example is not using Algebraic Data Types or Json. Instead, lets say you have some objects in a kitchen and you modelled them all for cooking. Then you decide to make a monster game, and they are fighting in the kitchen and can grab stuff and attack each other with them. So, I’m going to add an attack operation to some of my kitchen implements by using a new AdHocWeapon data type.
A Context Bound Class simply converts one type to another. But that is not enough to explain why we want them. Instead, imagine a library developer wants to create a new function - say “ConvertFormat”. They want to then let you provide your own code to invoke ConvertFormat for all the types already in scala, and maybe your own Case Classes too. They can implement Context Bound case classes for all the base types, and tell you how to do the same.
Fighting with kitchen stuff
Here is the simple example. We are creating a new Type Class called an AdHocWeapon, and it has an attack operation.
Recap on the key points
Ad-hoc polymorphism - the Scala way to decouple classes. If you have classes in one domain which have nothing to do with a new set of operations in a different domain, use Type Classes.
The type class simply defines the new operations in the new domain you want - a typed base trait, and some implicit objects or vals which Scala can infer from the types, providing they are in scope, and there is only one that matches.
The companion object includes the initial implementations you want. Other devs can alter these or add more later on. The companion object effectively converts the classes you have already to extend the type class and provide the implementation.
You define the objects and vals in the companion object to be implicit so they can be pulled in by the type.
When using the type class, you should use a ‘Context bound type’ which is of the form def function[A:NameOfTypeClass], so we are saying that A is going to extend NameOfTypeClass, and that it will be pulled in from an implicit object or val which can convert it.
implicitly[AdHocWeapon[W2]] is sadly the syntax to invoke the new operations (methods) in the type class implementation. eg implicitly[AdHocWeapon[W2]].attack
Vampires fighting with bread boards still beat hobbits fighting with frying pans.
Type classes convert classes?
The example above I describe as adding methods, but I am passing in the weapon to the attack function, but the damage is fixed by the weapon type. Not only that, but I said to start with that type classes let you add operations to existing classes which is not what most articles say. I read quite a few blogs and watched talks, and I think the example above is simpler. However…
Attached: quantum chemistry results:
<<<
DFT (ωB97M-V/def2-TZVPD) results for a gas-phase ion, C5H12N2 (charge +2).

Kohn-Sham gap: 9.51 eV
SMILES string: C=[NH+]C(=C)CC[NH3+]
Charge: +2
E_HOMO: -18.40 eV

Atoms and positions in Å:
C: 0.193 -2.666 -0.957
N: -0.885 -1.888 -0.876
C: -0.869 -0.585 -0.327
C: -2.022 0.010 -0.464
C: 0.407 -0.008 0.255
C: 0.284 1.349 0.997
N: 1.605 2.139 0.591
H: 1.187 -2.295 -0.873
H: -0.024 -3.747 -1.037
H: -1.833 -2.312 -1.102
H: -2.410 0.980 -0.107
H: -2.987 -0.385 -0.851
H: 1.037 0.035 -0.653
H: 1.016 -0.576 1.006
H: 0.185 0.979 2.050
H: -0.624 1.972 0.556
H: 1.448 3.109 0.398
H: 2.152 1.642 -0.123
H: 2.140 2.248 1.515

DFT (ωB97M-V/def2-TZVPD) results for a molecular structure, C5H12N2.

Kohn-Sham gap: 6.80 eV
Charge: +2
E_HOMO: -19.28 eV

Atoms and positions in Å:
C: -1.408 -0.901 0.745
C: 0.029 -0.420 0.784
C: 0.384 0.665 -0.168
C: 1.254 0.420 -1.224
N: 1.663 1.198 -2.201
C: 1.169 2.510 -2.381
N: -1.034 -2.508 2.498
H: -1.709 -1.439 -0.155
H: -2.183 -0.199 1.056
H: 0.653 -1.290 0.565
H: 0.236 -0.102 1.815
H: 0.051 1.684 0.020
H: 1.674 -0.585 -1.243
H: 0.936 2.649 -3.443
H: 0.277 2.758 -1.803
H: 1.980 3.214 -2.138
H: -1.549 -2.334 3.373
H: -1.407 -1.809 1.629
H: -1.018 -3.512 2.270

DFT (ωB97M-V/def2-TZVPD) results for 2 unconnected molecules or ions with the total composition C5H12N2O.

Kohn-Sham gap: 10.07 eV
SMILES string: [H]/N=C(\N)CC.CC=O
Charge: 0
E_HOMO: -9.34 eV

Atoms and positions in Å:
H: -0.850 -2.089 0.924
N: -0.344 -1.607 0.177
C: 0.678 -0.984 0.651
N: 0.917 -0.942 1.990
C: 1.574 -0.186 -0.278
C: 1.757 -0.801 -1.658
H: 0.156 -1.196 2.608
H: 1.494 -0.186 2.342
H: 1.123 0.809 -0.376
H: 2.552 -0.049 0.197
H: 1.572 -0.048 -2.432
H: 1.100 -1.653 -1.855
H: 2.789 -1.144 -1.785
C: -2.012 1.755 -0.638
C: -2.153 1.024 0.661
O: -3.192 0.499 1.046
H: -1.624 2.757 -0.437
H: -1.314 1.218 -1.284
H: -2.983 1.837 -1.131
H: -1.241 0.984 1.279

DFT (ωB97M-V/def2-TZVPD) results for a single C5H12N2O molecule.

Kohn-Sham gap: 9.71 eV
SMILES string: CN(C)CCNC=O
Charge: 0
E_HOMO: -8.83 eV

Atoms and positions in Å:
C: 0.066 1.571 1.825
N: 0.861 0.595 1.123
C: 2.169 0.370 1.655
C: 1.007 0.906 -0.337
C: 0.518 -0.225 -1.254
N: -0.904 -0.429 -1.507
C: -1.657 -1.248 -0.671
O: -2.556 -1.890 -1.167
H: -0.996 1.406 1.552
H: 0.294 2.637 1.740
H: -0.079 1.247 2.870
H: 2.044 -0.066 2.676
H: 2.775 1.326 1.771
H: 2.702 -0.427 1.121
H: 2.022 1.137 -0.672
H: 0.355 1.767 -0.451
H: 0.960 0.112 -2.220
H: 1.093 -1.136 -1.013
H: -1.210 -0.467 -2.466
H: -1.356 -1.256 0.370

DFT (ωB97M-V/def2-TZVPD) results for a single C5H12N2O molecule.

Kohn-Sham gap: 10.30 eV
SMILES string: CCCCNC(N)=O
Charge: 0
E_HOMO: -9.38 eV

Atoms and positions in Å:
C: 0.561 -0.914 -2.737
C: 0.835 -1.191 -1.242
C: 0.742 0.202 -0.524
C: -0.649 0.427 0.026
N: -0.870 -0.207 1.347
C: -0.669 0.352 2.544
N: -0.593 1.759 2.634
O: -0.315 -0.265 3.545
H: 0.293 -1.833 -3.272
H: -0.282 -0.235 -2.873
H: 1.487 -0.579 -3.205
H: 1.823 -1.548 -0.939
H: 0.105 -1.929 -0.911
H: 0.916 0.955 -1.302
H: 1.539 0.467 0.182
>>>
Take 2 - a library designed for Type Classes
Lets rewrite it, this time we have two domains, a kitchen with utensils, and then fantasy fighting which has creatures and weapons.
Presumably, during my library design I have pure weapons, but accept some sort of ‘OtherWeapon’ will be used. So the Type Class OtherWeapon is born and a battle resolution function is written for Weapon and also for OtherWeapon. This small expenditure up front lets anyone write an additional implicit OtherWeapon converter.
The output from this is:
Before Creature(Orc,80) vs Creature(Elf,110) Before Creature(Vampire,10000) vs Creature(hobbit,10) After Creature(Orc,70) vs Creature(Elf,85) After Creature(Vampire,9991) vs Creature(hobbit,9)
Weapon and OtherWeapon?
I could do another example, where I have Weapons, Utensils and then a type class which could be OffensiveWeapon. I could then add implicit to convert both to OffensiveWeapon, and have my battle module use OffensiveWeapon. I won’t do it now, this post is already too long. However, I think this would be a better design, as Weapons could be for status, defence or ornament.